The Other by David Guterson. Alfred A. Knopf, 2008. 256 pages
je est un autre (I am an other)
-- What comes next are molecular data, not part of the piece --
<<<
Record 1
Below is a molecular structure, C78H84F8I2NO2S in a non-equilibrium geometry, with properties calculated with ωB97M-V/def2-TZVPD.

- spin multiplicity = 1
- net charge = +1
- orbital gap (eV) = 6.898
- HOMO energy (eV) = -10.27

Structure (XYZ):
```
176
Properties=species:S:1:pos:R:3:forces:R:3
C -3.840530 4.768452 -3.578269 6.485 5.277 5.401
C -2.992417 5.450570 -2.654420 -4.389 -4.527 -6.453
C -1.756836 6.106407 -1.738288 -4.033 0.860 -0.411
C -2.029005 5.941772 -0.136330 -0.973 0.496 0.264
S -3.644819 4.932441 0.014505 -0.494 0.441 -0.352
C -0.901011 5.091588 0.693519 -0.734 -0.267 -0.826
I -1.996239 4.322016 2.483994 1.262 0.174 0.183
I 0.678630 6.394421 1.588089 -1.320 -0.303 -1.002
C -0.200312 3.862400 -0.183117 1.270 0.058 1.527
C -0.805633 2.365517 0.226921 -0.209 -1.141 -1.436
C -0.301878 1.167964 -0.824669 0.821 0.147 1.742
C -0.442049 -0.265746 0.011467 1.370 0.322 -0.237
C -0.612167 -1.574764 -0.964469 -0.664 -0.550 1.887
C -2.108067 -2.219767 -0.614581 0.382 0.712 -1.308
C -2.737287 -2.731995 -2.040155 0.420 0.652 0.475
C -3.398075 -1.374800 -2.758171 0.122 -0.897 1.910
C -4.882201 -1.185527 -2.076447 0.094 0.221 -0.551
C -5.590254 0.100878 -2.815335 0.439 0.242 0.111
C -7.099510 -0.211154 -3.375389 -0.466 -0.284 0.630
C -8.228630 0.648140 -2.522630 0.239 0.052 -0.342
C -7.961812 2.295287 -2.629590 0.645 -0.668 0.980
C -7.543881 2.819281 -1.102320 -0.797 0.567 -0.220
C -7.929162 4.412453 -0.850133 0.727 -0.829 -0.324
C -0.133310 4.135800 -1.793738 0.307 -3.216 -0.146
C 1.296276 3.632882 -2.501643 0.371 0.360 0.662
O 0.933620 2.792427 -3.651050 2.379 -1.771 1.548
C 1.754285 1.579409 -3.754687 1.777 -4.340 -0.879
C 0.948140 0.208251 -4.273221 2.801 -0.468 0.455
C 1.655551 -1.250780 -4.512882 2.281 4.007 1.237
C 3.266457 -1.381481 -4.236486 -2.428 3.816 0.556
C 4.084992 -0.042179 -3.705069 -3.217 -0.536 -0.978
C 3.361781 1.444909 -3.465572 -2.496 -3.061 -1.342
N -0.440753 5.546472 -2.236561 -1.865 0.887 -3.949
O 0.523963 6.457193 -1.892490 1.434 1.297 0.546
C -0.517240 5.654784 -3.775699 0.763 0.261 -10.635
C -0.476251 5.721259 -5.198649 0.813 0.244 10.529
H -4.356066 4.487514 -4.616238 1.269 0.792 2.975
H -1.792189 7.272406 -1.992425 0.363 -2.687 0.311
H -2.292774 6.987508 0.374567 1.120 -2.277 -1.293
H -4.746867 5.713687 -0.368248 1.587 -0.067 0.016
H 0.932173 3.837172 0.196238 -2.494 0.111 -0.879
H -1.994831 2.326302 0.161294 2.563 0.375 0.454
H -0.407129 1.995827 1.290018 -1.001 1.343 -2.324
H -0.893583 1.177917 -1.834142 1.247 -0.060 1.867
H 0.865680 1.334440 -0.950262 -2.507 -0.448 -0.332
H -1.274860 -0.157024 0.836518 1.437 -0.443 -1.815
H 0.581950 -0.428164 0.602955 -2.209 0.645 -1.164
H 0.170978 -2.387949 -0.607396 -1.418 1.754 -1.050
H -0.461619 -1.343291 -2.102606 -0.350 -0.334 2.262
H -2.026304 -3.040067 0.216949 -0.196 1.551 -1.654
H -2.772804 -1.323766 -0.237791 1.188 -1.960 -0.530
H -3.537468 -3.565668 -1.824692 1.496 1.644 -0.794
H -1.840283 -3.141685 -2.685902 -1.950 0.554 1.212
>>>
When Neil Countryman finds himself running in tandem with John William Berry in a half-mile race — a race in which the two teenagers are trailing far behind the other sprinters, both make a valiant effort “not to be last.” When the exhausted Neil (the narrator of this novel) loses, he notices that the victorious John William (seventh in a race of eight runners), bears a striking resemblance to himself — “my near-doppelganger,” he says. Thus begins an unlikely friendship between Neil, a blue-collar Irish youth and the troubled John William (J.W.), a product of one of Seattle’s most famous (and wealthy) families.
The two friends appear to have nothing in common. Neil has a warm, stable relationship with his family, whereas J. W. despises his parents and steadfastly refuses to participate in their world of privilege and culture. Neil wants to become an English teacher; J.W. talks of discovering a way to “escape the unhappiness machine” (his metaphor for the material world). Their only bond is a love for the natural world and a delight in treks into the “North Cascades Primitive Area,” a remote region noted for glaciers, dangerous camping conditions and (until recently) uncharted wilderness.
Records of molecules, kept here for reference >
<<<
[1]
Entry from OMol25: a structure of composition C42H35AsFN2O5PSSe3TeTi (ωB97M-V/def2-TZVPD).

Gap between HOMO and LUMO (alpha / beta)   3.6 / 5.4 eV
Total charge   -2
ΔE to the lowest compared entry with this formula, charge and spin   0.0 kJ/mol
<S²>   2.02
Lowest unoccupied orbital energy (alpha / beta)   3.37 / 3.37 eV
Spin multiplicity   3

Last column: Löwdin spin population.
Cartesian coordinates (Å):
Ti (3.8288, 1.6636, -0.2240)  0.889
Se (5.7413, 3.0845, 0.8945)  0.001
Se (5.8788, 4.0673, -1.1980)  -0.001
Te (6.0561, 2.0929, -2.7414)  0.002
Se (3.6512, 1.4767, -2.9507)  -0.010
F (2.5643, -3.2714, 4.3840)  0.005
C (2.8379, -2.0769, 3.7881)  0.128
C (4.0283, -1.9798, 3.0659)  0.346
N (4.3099, -0.7998, 2.3636)  0.059
C (5.5849, -0.6548, 1.6666)  0.004
C (5.4736, -0.8775, 0.1345)  0.008
O (5.9410, -1.9027, -0.3428)  0.020
O (4.8855, 0.0726, -0.4862)  0.016
C (3.4385, 0.2136, 2.3627)  0.028
O (3.5667, 1.2442, 1.6415)  0.008
N (2.3977, 0.1565, 3.2440)  0.082
C (1.9385, -1.0227, 3.9465)  0.149
O (0.8591, -0.9560, 4.5595)  0.133
H (4.7088, -2.8065, 2.9549)  0.034
H (6.2726, -1.3893, 2.0743)  0.003
H (5.9691, 0.3527, 1.8356)  0.000
H (1.7607, 0.9352, 3.1998)  0.005
C (0.1969, -1.1187, 1.2229)  0.004
C (-1.1443, -1.6100, 0.6700)  0.000
As (-1.1616, -3.4968, 0.0833)  0.000
C (-2.7192, -3.4260, -1.1167)  0.000
C (-3.1062, -4.6352, -1.6975)  0.000
C (-4.1821, -4.7071, -2.5659)  0.000
C (-4.8940, -3.5571, -2.8843)  0.000
C (-4.5172, -2.3462, -2.3242)  0.000
C (-3.4411, -2.2830, -1.4484)  0.000
C (-2.1368, -4.2128, 1.6426)  0.000
C (-3.4159, -3.7998, 2.0063)  0.000
C (-4.0288, -4.3067, 3.1410)  0.000
C (-3.3695, -5.2389, 3.9320)  0.000
C (-2.0978, -5.6638, 3.5778)  0.000
C (-1.4909, -5.1549, 2.4384)  0.000
P (1.3940, -0.3188, 0.0074)  0.003
C (0.1970, 0.7260, -0.9123)  0.000
C (0.2909, 0.9108, -2.2889)  0.000
C (-0.5844, 1.7584, -2.9522)  0.000
C (-1.5678, 2.4329, -2.2490)  0.000
C (-1.6512, 2.2835, -0.8719)  0.000
C (-0.7690, 1.4477, -0.2094)  0.000
C (1.6581, -1.7722, -1.0883)  0.001
C (2.6703, -2.6279, -0.6547)  0.001
C (2.9958, -3.7659, -1.3728)  0.000
C (2.3156, -4.0612, -2.5458)  0.000
C (1.2930, -3.2301, -2.9747)  0.000
C (0.9574, -2.0976, -2.2469)  0.000
H (0.7424, -1.9353, 1.7030)  0.001
H (0.0213, -0.3846, 2.0109)  0.001
H (-1.4427, -0.9876, -0.1692)  0.000
H (-1.9101, -1.5219, 1.4430)  0.000
H (-2.5438, -5.5318, -1.4560)  0.000
H (-4.4651, -5.6565, -3.0047)  0.000
H (-5.7322, -3.6054, -3.5687)  0.000
H (-5.0611, -1.4430, -2.5729)  0.000
H (-3.1731, -1.3192, -1.0344)  0.000
H (-3.9402, -3.0736, 1.3936)  0.000
H (-5.0213, -3.9703, 3.4169)  0.000
H (-3.8442, -5.6278, 4.8246)  0.000
H (-1.5760, -6.3848, 4.1950)  0.000
H (-0.4935, -5.4789, 2.1613)  0.000
H (1.0619, 0.4048, -2.8516)  0.000
H (-0.4722, 1.8968, -4.0208)  0.000
H (-2.2458, 3.1019, -2.7656)  0.000
H (-2.3908, 2.8439, -0.3109)  0.000
H (-0.8348, 1.3547, 0.8691)  0.000
H (3.2176, -2.3930, 0.2533)  0.003
H (3.7996, -4.4044, -1.0297)  0.000
H (2.5881, -4.9317, -3.1306)  0.000
>>>
In one memorable trip, Neil, J. W. and Pete Jenkins, another friend (who brings along a copy of Jack Kerouac’s Desolation Angels), become hopelessly lost in a bleak part of the Cascades that had once been occupied by the Hoh Indians. Within three days, they are experiencing near-starvation conditions. Subsisting on bug larvae, tree bark, trapped birds and worms, they spend 14 days of aimless wandering before they finally emerge on a Canadian highway.
Unrelated to this entry: calculated molecules:
+++
{"formula": "C2H7N3O2", "method": "ωB97M-V/def2-TZVPD", "elements": ["C", "N", "C", "N", "O", "O", "N", "H", "H", "H", "H", "H", "H", "H"], "xyz": [[-1.47255, 0.02570, -0.76832], [-0.52379, 0.91810, 0.80057], [-0.08541, -0.17117, -0.39756], [0.29102, -1.40997, 0.17249], [2.04930, 0.08827, -1.07609], [-0.34784, 0.77393, 2.20528], [0.69673, 0.43282, -1.33738], [2.52554, 0.55672, -1.77024], [0.24441, 0.01103, 2.29302], [-0.44243, 1.90109, 0.53954], [1.28052, -1.49647, 0.34911], [-0.29779, -1.74601, 0.91966], [-1.69291, 0.79423, -1.49343], [-2.22480, -0.67826, -0.43665]], "forces_ev_per_a": [[0.458, 0.004, 0.657], [-0.041, -0.654, 0.190], [-0.146, -0.032, -0.751], [-0.034, 0.365, 0.004], [-0.135, 0.056, 0.076], [-0.280, 0.211, -0.226], [0.085, -0.099, 0.080], [-0.090, -0.050, 0.086], [-0.013, 0.106, -0.165], [0.219, -0.083, 0.039], [-0.019, 0.046, -0.001], [0.035, 0.024, -0.020], [-0.036, -0.020, 0.049], [-0.002, 0.126, -0.017]], "orbital_gap_ev": [6.6, 8.1], "homo_ev": [-7.0, -8.0], "multiplicity": 1, "de_lowest_kj_mol": 812.1, "energy_ev": -10745.65855, "mol_weight_g_mol": 105.10}


{"formula": "C7H8BrNO2", "method": "ωB97M-V/def2-TZVPD", "elements": ["C", "C", "C", "C", "C", "C", "C", "N", "O", "O", "Br", "H", "H", "H", "H", "H", "H", "H", "H"], "xyz": [[-0.25485, -2.00587, -0.56351], [-1.71945, -1.76948, -0.55855], [0.86231, -1.24903, -0.54530], [-2.44886, -0.72803, -0.23124], [0.90974, 0.20876, -0.98775], [0.64525, 1.03706, 0.24148], [1.43321, 1.01684, 1.49483], [-0.45317, 1.80124, 0.13874], [-1.01500, 2.29398, 1.07457], [-0.91260, 1.97921, -1.05343], [-3.15901, 0.82074, 0.32587], [-0.11675, -3.02377, -0.47647], [-2.39515, -2.54848, -0.77635], [1.75159, -1.91950, -0.38075], [1.87770, 0.25353, -1.42697], [0.01077, 0.60071, -1.64410], [1.87713, 0.12373, 1.63164], [0.91379, 1.38083, 2.25662], [2.19338, 1.72753, 1.48067]], "forces_ev_per_a": [[-0.437, 1.547, 0.481], [0.589, 2.160, 0.149], [-1.274, -1.652, -0.800], [-0.291, 0.762, 0.226], [-1.819, -0.198, 0.866], [1.893, -1.241, -0.463], [-0.614, 0.932, -3.508], [-0.939, 0.753, -3.686], [-0.265, 1.309, 2.498], [0.172, 0.569, 1.269], [-0.341, -1.045, -0.191], [0.634, -2.204, 0.365], [-0.142, -1.665, -0.534], [-0.458, 1.462, -0.334], [0.790, 1.060, -0.476], [2.178, -1.568, 0.637], [1.240, -3.157, 0.710], [-2.732, 0.776, 3.524], [1.816, 1.401, -0.733]], "orbital_gap_ev": [5.7, 9.0], "homo_ev": [-7.5, -8.6], "multiplicity": 1, "de_lowest_kj_mol": 899.5, "energy_ev": -83006.61609, "mol_weight_g_mol": 218.05}

=====

C26H28BrCl2N4O7PS2Ta | wB97M-V/def2-TZVPD

Atoms and positions in Å:
Ta  0.70  1.99  1.57
Br  -0.80  -2.53  -5.03
C  -1.68  -2.92  -3.40
C  -0.94  -3.28  -2.29
C  -1.57  -3.54  -1.09
C  -2.96  -3.48  -1.02
C  -3.71  -3.18  -2.16
C  -3.07  -2.87  -3.35
N  -3.73  -3.80  0.14
N  -3.46  -3.38  1.27
C  -2.40  -2.45  1.51
C  -1.41  -2.79  2.40
C  -0.40  -1.89  2.77
C  -0.42  -0.62  2.26
O  0.48  0.34  2.54
C  -1.43  -0.24  1.35
N  -1.32  1.02  0.86
C  -2.21  1.43  -0.02
C  -3.30  0.63  -0.41
+++
Rather than being chastened by this experience, J. W. and Neil (Pete has had enough!) return to the Hoh Valley in the Cascades again and again. After one exhilarating trip, the two friends make a “blood pact” by cutting their palms, clasping hands and swearing that they will never reveal the location of their campsite: a remote cove containing a sulfur spring (which they convert into a kind of natural hot tub) and backed by a limestone cliff. J.W. vows to return and live here the rest of his life, passing his time carving a cave in the cliff, learning to trap, perfect his “woods craft/survival lore” and reading the “Gnostic Gospels.” Shortly after this incident, J. W. makes a final effort to become a part of what he calls the “hamburger world” by registering at a small college where he quickly develops a reputation as an ecology nut and misfit. This episode also includes a painful first-love encounter that leaves J.W. even more disillusioned. Convinced that his only alternative is to withdraw to his remote campsite in the Cascades, he packs and, like Tom Sawyer, “heads to the territories.”
Although Neil has enrolled in a small college and is well on his way to becoming a teacher, he seems incapable of breaking his bond with J.W. For the next seven years, he continues to make irregular trips to J.W.’s campsite, bringing his “blood brother” supplies: canned goods, tools, books and Playboy magazines.
At this point, The Other appears to be a bittersweet tale of a blighted friendship, but gradually another, more subtle theme emerges. As the years pass, Neil watches J.W. become increasingly embittered and inept. It soon becomes evident that “the hermit of the Hoh” cannot survive without the canned goods and supplies. Neil’s repeated attempts to lure his friend out of the wilderness are futile. Again and again, Countryman decides to abandon J. W. and each time, he returns with yet another load of supplies, only to be met by taunts and insults (Neil eventually marries and becomes a teacher ... a “lackey” in J.W.’s opinion!). The relationship seems at a hopeless impasse.
I have no intention of revealing the remainder of this fascinating novel. Like the doomed Christopher in Jon Krakauer’s Into the Wild, J.W.’s motives for rejecting the world where the majority of us live cannot be dismissed as the misguided rant of a misfit. In addition, David Guterson (Snow Falling on Cedars, Our Lady of the Forest) has a gift for revealing the hidden bonds that link us with others.
(Gary Carden is a writer and storyteller who lives in Sylva. He can be reached at